
A repository containing the source code of a Rover with a 5DOF manipulator.

My user name in github 'mturktest123' is a carryover from my days working on crowdsourcing via AWS Mechanical Turk.

This project includes the development of the robot to be simulated in Gazebo.

It uses MoveIT to trajectory control the manipulator.


You will need to install the following:

ROS Melodic

sudo apt-get install ros-melodic-ackermann-msgs

sudo apt-get install ros-melodic-ros-control ros-melodic-ros-controllers

Summary (quick start):

After you have everything installed use these two commands to see the full functionality.

  `roslaunch rover_with_arm_gazebo_control rover_with_arm_gazebo_moveit_keyboard_control.launch`
  `roslaunch rover_with_arm_moveit_config moveit_planning_execution.launch`

This youtube video demonstrates these two commands to control the rover and the arm in gazebo.

A detailed description of various packages is as follows.


This package contains the xacro/urdf used by the rover and arm descriptions for materials, links & joints macros, and some common constants used in defining the robot models.


This package contains the urdf/xacro description of the rover. The robot model includes the rover chassis, steers, and wheels. The model is deliberately kept simple to have a lower computation load in simulation.

The following command shall be used to spawn the Rover model in RViz.

roslaunch rover_desc_pkg rover_rviz.launch

This command launches RViz with joint_state_publisher that allows us to play with various steers and wheels joints.

To understand how the command works, take a look at this video on youtube.


This package contains the urdf/xacro description of the 5DOF manipulator arm. The arm model includes 5 revolure joints.

The following command shall be used to spawn the Arm in RViz.

roslaunch rover_arm_desc_pkg arm_rviz.launch

This command launches RViz with joint_state_publisher that allows us to play with various joints of the arm.


This package combines the description of rover and arm to allow the spawning of complete rover assembly.

The following command shall be used to spawn the rover_with_arm in RViz.

roslaunch rover_with_arm_desc_pkg rover_arm_rviz.launch

This command launches RViz with joint_state_publisher that allows us to play with various joints of the rover and the arm.

To understand how the command works, take a look at this video on youtube.


This package simulates the rover in the gazebo simulation world. It spawns only the rover in gazebo.

Following commands shall be used to control the rover in simulation as described under:

  1. Use this command to spawn the rover in empty gazebo world:

    roslaunch rover_gazebo_control rover_gazebo_control.launch

    Following command launches a rqt_gui to control rover joints:

    rosrun rqt_gui rqt_gui

    Watch this video on youtube to understand how rover joints can be played.

  2. Use this command to spawn the rover in empty gazebo world and be controlled using keyboard commands:

    roslaunch rover_gazebo_control rover_gazebo_keyboard_ctrl.launch

    This command also brings up a node to take in the keyboard commands and publish velocity commands to the joints.

    The up and down arrow keys are used to run the rover in forward and reverse directions respectively.

    The left and right arrow keys are used for steering control of the rover.

    This youtube video shows how the rover is controlled using keyboard inputs.


This package spawns the arm in the gazebo simulation world. It spawns only the arm in gazebo.

The following command shall be used to spawn the arm.

roslaunch rover_arm_gazebo_control rover_arm_gazebo_control.launch


This package spawns the rover and the arm in the gazebo simulation world.

The following commands shall be used to have various controls of the rover and arm in the gazebo simulation world.

  1. Use this command to simply launch the rover and the arm in gazebo.

    roslaunch rover_with_arm_gazebo_control rover_with_arm_gazebo_control.launch

  2. Use this command to launch the rover and the arm in gazebo simulation and to control only the rover using keyboard inputs.

    roslaunch rover_with_arm_gazebo_control rover_with_arm_gazebo_keyboard_ctrl.launch

  3. Use this command to launch the rover and the arm in gazebo simulation and to control only the arm using MoveIT trajectory control.

    roslaunch rover_with_arm_gazebo_control rover_with_arm_gazebo_moveit_control.launch

• Here the article breaks off for data records:
=====
Simulated powder X-ray diffraction pattern
Compound: GaBiS
Radiation: copper Kα
Structure: a cell relaxed with GGA-PBE
Intensities are scaled so that the largest is 100.

Structure:
abc: 6.0227 3.6745 7.8047
angles: 90.00 107.90 90.00
Space group P2/m (No. 10)
Asymmetric unit:
Ga: 0.1105 0.0000 0.3531 (multiplicity 2)
Bi: 0.2600 0.5000 0.1289 (multiplicity 2)
S: 0.2752 0.0000 0.6597 (multiplicity 2)

The 12 most intense peaks (2θ from 10° to 90°), sorted by position:
hkl	d_spacing	2θ (°)	Rel. int.
0 0 1	7.427	11.9	43
1 0 -1	5.413	16.4	51
1 0 1	3.984	22.3	74
1 0 -2	3.674	24.2	64
0 1 1	3.293	27.1	100
1 1 -1	3.040	29.4	51
2 0 0	2.866	31.2	41
1 1 -2	2.598	34.5	71
2 1 -1	2.324	38.7	51
1 1 2	2.204	41.0	35
0 1 3	2.053	44.1	45
0 2 0	1.837	49.6	38

=====

Simulated powder X-ray diffraction pattern
Compound: Ga2BiS4
Radiation: copper Kα
Structure: a cell relaxed with GGA-PBE
Intensities are scaled so that the largest is 100.

Structure:
abc: 7.6911 7.6911 12.2492
angles: 90.00 90.00 90.00
Space group P4/nnc (No. 126, origin choice 2)
Asymmetric unit:
Ga: 0.2500 0.7500 0.0000 (multiplicity 4)
Ga: 0.2500 0.7500 0.2500 (multiplicity 4)
Bi: 0.2500 0.2500 0.1210 (multiplicity 4)
S: 0.0877 0.5933 0.6251 (multiplicity 16)

The 12 most intense peaks (2θ from 10° to 90°), sorted by position:
hkl	d_spacing	2θ (°)	Rel. int.
1 0 1	6.514	13.6	100
2 0 0	3.846	23.1	64
1 0 3	3.606	24.7	31
2 1 1	3.311	26.9	40
2 1 2	2.999	29.8	17
2 2 0	2.719	32.9	43
1 1 4	2.668	33.6	57
2 1 3	2.631	34.1	27
3 1 4	1.905	47.8	76
4 2 0	1.720	53.3	24
5 1 4	1.353	69.5	20
5 3 4	1.211	79.0	15

=====

Simulated powder X-ray diffraction pattern
Compound: GaBi2S6
Radiation: copper Kα
Structure: a cell relaxed with GGA-PBE
Intensities are scaled so that the largest is 100.

Structure:
abc: 6.1842 6.1842 11.9520
angles: 90.00 90.00 90.00
Space group P4_2/mnm (No. 136)
Asymmetric unit:
Ga: 0.0000 0.0000 0.0000 (multiplicity 2)
Bi: 0.0000 0.0000 0.3336 (multiplicity 4)
S: 0.1857 0.1857 0.1517 (multiplicity 8)
S: 0.2149 0.2149 0.5000 (multiplicity 4)

The 12 most intense peaks (2θ from 10° to 90°), sorted by position:
hkl	d_spacing	2θ (°)	Rel. int.
1 0 1	5.493	16.1	16
1 1 0	4.373	20.3	100
1 0 3	3.349	26.6	70
2 0 0	3.092	28.9	18
2 1 3	2.272	39.7	81
2 2 0	2.186	41.3	23
3 1 0	1.956	46.4	17
3 0 3	1.831	49.8	30
1 1 6	1.813	50.3	18
3 2 3	1.575	58.6	13
2 2 6	1.473	63.1	13
4 1 3	1.404	66.6	15

=====

# Ba4Cu3SnO9
Theoretical powder diffraction line list, CuKα. Input: a PBE-relaxed structure.

Peak list (10 most intense, 10° ≤ 2θ ≤ 80°, in order of rising 2θ)
2θ/deg  I_rel  h k l
15.51  3  1 1 0
22.00  4  2 0 0
31.31  100  2 2 0
38.60  7  2 2 2
44.87  28  4 0 0
50.52  2  4 2 0
55.74  39  4 2 2
65.33  17  4 4 0
74.24  17  6 2 0
78.53  2  6 2 2

Atomic structure:
```
data_Ba4Cu3SnO9
_chemical_formula_sum 'Ba8 Cu6 Sn2 O18'
_space_group_name_H-M_alt 'P m -3 n'
_space_group_IT_number 223
_space_group_name_Hall '-P 4n 2 3'
_cell_length_a 8.080
_cell_length_b 8.080
_cell_length_c 8.080
_cell_angle_alpha 90.00
=====

    Please refer to the description under the next package to launch the MoveIT control of the arm.

    You may watch this video on youtube to understand how the command can be used with MoveIT package.

  4. Use this command to launch the rover and the arm in gazebo simulation with nodes to control the rover using keyboard inputs and the arm using MoveIT trajectory control.

........
This entry pairs a crystal structure of Li4Ti3Nb2Cr3O16 with its simulated powder diffraction line list. Radiation: Cu Kα (λ = 1.5418 Å). Structure: a crystal structure in Alexandria, relaxed with PBE+U.

The 8 most intense peaks (15° ≤ 2θ ≤ 90°), sorted by position:
two_theta  I (rel.)
19.25  95.1
19.39  100.0
32.52  39.3
34.85  33.1
35.15  65.8
35.70  30.3
44.74  31.1
61.69  35.3

Crystal structure
```
28
Lattice="5.214 -2.998 0.000 5.214 2.998 0.000 -0.124 0.000 9.785" Properties=species:S:1:pos:R:3 pbc="T T T"
Li 0.000 0.000 0.000
Li 0.004 0.000 4.879
Li 3.558 0.000 0.883
Li 6.949 0.000 5.736
Ti 4.194 1.476 7.545
Ti 4.194 -1.476 7.545
Ti 8.672 0.000 2.612
Nb 3.499 0.000 4.844
Nb 6.784 0.000 9.774
Cr 1.676 0.000 7.649
Cr 6.136 1.473 2.733
Cr 6.136 -1.473 2.733
O -0.078 0.000 6.704
O 0.018 0.000 1.818
O 2.738 1.368 6.349
O 4.380 1.515 3.858
O 1.760 0.000 3.913
O 5.919 1.470 8.828
O 3.440 0.000 8.653
O 4.994 0.000 6.385
O 2.738 -1.368 6.349
O 5.487 0.000 1.491
O 7.812 1.317 1.485
O 4.380 -1.515 3.858
O 7.060 0.000 3.749
O 5.919 -1.470 8.828
O 8.603 0.000 8.728
O 7.812 -1.317 1.485
```


PmMgNb4N8: simulated powder XRD pattern (a wavelength of 1.5418 Å), based on a cell relaxed with GGA-PBE.

Atomic structure:
Cell lengths 6.3654, 6.3654, 15.8739 Å; angles 90.00, 90.00, 120.00 degrees
Space group R3m (No. 160, hexagonal axes)
One atom of each set of equivalent atoms:
Pm 0.0000 0.0000 0.0000 x3
Mg 0.0000 0.0000 0.6207 x3
Nb 0.0000 0.0000 0.2471 x3
Nb 0.1730 0.3460 0.4541 x9
N 0.0000 0.0000 0.3775 x3
N 0.0000 0.0000 0.8575 x3
N 0.0462 0.5231 0.3842 x9
N 0.1685 0.3371 0.2028 x9

Peak list (12 most intense, 2θ from 10° to 90°, sorted by position)
3.221 Å, I 86, (1 0 4); 3.183 Å, I 26, (1 1 0); 2.751 Å, I 51, (0 1 5); 2.727 Å, I 90, (1 1 3); 2.716 Å, I 100, (0 2 1); 2.604 Å, I 23, (2 0 2); 1.845 Å, I 32, (2 1 4); 1.751 Å, I 29, (0 2 7); 1.742 Å, I 29, (1 2 5); 1.736 Å, I 24, (0 3 3); 1.610 Å, I 43, (2 0 8); 1.591 Å, I 41, (2 2 0)


Nd2MgP2N6: simulated powder XRD pattern (a wavelength of 1.5418 Å), based on a cell relaxed with GGA-PBE.

Atomic structure:
Cell lengths 5.4980, 5.4980, 16.7752 Å; angles 90.00, 90.00, 120.00 degrees
Space group R-3m (No. 166, hexagonal axes)
One atom of each set of equivalent atoms:
Nd 0.0000 0.0000 0.2099 x6
Mg 0.0000 0.0000 0.0000 x3
P 0.0000 0.0000 0.4190 x6
N 0.0026 0.5013 0.2457 x18

Peak list (12 most intense, 2θ from 10° to 90°, sorted by position)
5.592 Å, I 26, (0 0 3); 4.141 Å, I 30, (0 1 2); 3.147 Å, I 9, (1 0 4); 2.746 Å, I 100, (0 1 5); 2.467 Å, I 18, (1 1 3); 2.290 Å, I 18, (2 0 2); 2.070 Å, I 9, (0 2 4); 1.942 Å, I 19, (2 0 5); 1.586 Å, I 28, (3 0 0); 1.543 Å, I 9, (1 1 9); 1.374 Å, I 9, (2 2 0); 1.229 Å, I 8, (3 1 5)


NdMg2ReN4: simulated powder XRD pattern (a wavelength of 1.5418 Å), based on a cell relaxed with GGA-PBE.

Atomic structure:
Cell lengths 3.3213, 11.7212, 10.9977 Å; angles 90.00, 90.00, 90.00 degrees
Space group Cmcm (No. 63)
One atom of each set of equivalent atoms:
........

    roslaunch rover_with_arm_gazebo_control rover_with_arm_gazebo_moveit_keyboard_control.launch

    Please refer to the description under the next package to launch the MoveIT control of the arm.


This package defines the MoveIT configuration of the arm joints. The joints are controlled using joint_trajectory_controller. Some random cartesian positions are defined for the arm.

Follow these commands to test or move the arm in cartesian control.

  1. This command launches the arm in RViz to plan and execute fake controllers for the testing of the configuration.

    roslaunch rover_with_arm_moveit_config demo.launch

  2. Use this command to control the arm in simulation mode such as in gazebo as mentioned in the above package description.

    roslaunch rover_with_arm_moveit_config moveit_planning_execution.launch

    This youtube video explains how this command can be used to control the arm in gazebo environment.